
C# | Visual Basic | Visual C++ |
-- Records of crystals from another source follow --
........
(1)
VASP calculation (PBE-GGA) on an optimized crystal structure of Na6Nb2Al6Si5S7O48.

Unit cell a=17.2058 b=8.6742 c=22.1951 alpha=90.01 beta=90.32 gamma=120.36
Element x y z (fractional)
Na1 0.9894 0.6754 0.9113
Na2 0.3471 0.0304 0.9149
Na3 0.1691 0.3046 0.9128
Na4 0.4892 0.3054 0.4201
Na5 0.6685 0.0320 0.4164
Na6 0.8451 0.6622 0.4181
Na7 0.9996 0.0052 0.4947
Na8 0.4961 0.9925 0.4982
Na9 0.9967 0.0047 0.9957
Na10 0.4993 0.9939 0.9926
Na11 0.3378 0.3441 0.8351
Na12 0.8292 0.3241 0.8237
Na13 0.3306 0.3367 0.3272
Na14 0.8361 0.3286 0.3399
Na15 0.1725 0.6742 0.1651
Na16 0.6647 0.6677 0.1683
Na17 0.1675 0.6637 0.6674
Na18 0.6637 0.6603 0.6599
Nb1 0.9977 0.9864 0.6494
Nb2 0.4980 0.0147 0.6374
Nb3 0.9976 0.9928 0.1418
Nb4 0.4970 0.0083 0.1492
Nb5 0.1641 0.6737 0.3109
Nb6 0.6616 0.6519 0.8080
Al1 0.0057 0.9956 0.3623
Al2 0.4988 0.0108 0.3495
Al3 0.0018 0.9886 0.8464
Al4 0.5032 0.0143 0.8587
Al5 0.3380 0.3495 0.6780
Al6 0.8346 0.3344 0.6948
Al7 0.3361 0.3354 0.1963
Al8 0.8269 0.3145 0.1830
Al9 0.3383 0.3480 0.9707
Al10 0.8305 0.3157 0.9820
Al11 0.3363 0.3459 0.4873
Al12 0.8361 0.3242 0.4722
Al13 0.1733 0.6855 0.0091
Al14 0.6664 0.6726 0.0204
Al15 0.1655 0.6618 0.5221
Al16 0.6663 0.6474 0.5148
Al17 0.6688 0.6543 0.3195
Al18 0.1748 0.6916 0.8155
Si1 0.1426 0.0137 0.2534
Si2 0.3587 0.7060 0.2556
Si3 0.5060 0.3116 0.2563
Si4 0.6425 0.2668 0.7532
Si5 0.0054 0.6984 0.7555
Si6 0.8602 0.0129 0.7557
Si7 0.4808 0.3619 0.5794
Si8 0.3223 0.6068 0.5823
Si9 0.8234 0.0398 0.0813
Si10 0.3119 0.6709 0.9133
Si11 0.5257 0.3792 0.9238
Si12 0.1632 0.9576 0.9181
Si13 0.8089 0.9462 0.4152
Si14 0.6638 0.3681 0.4166
Si15 0.0243 0.6684 0.4241
S1 0.6499 0.0051 0.2509
S2 0.8533 0.6988 0.2496
S3 0.9927 0.2818 0.2502
S4 0.1504 0.2952 0.7515
S5 0.4922 0.7081 0.7509
S6 0.3538 0.0053 0.7506
S7 0.9750 0.3374 0.5824
S8 0.1929 0.0481 0.5823
S9 0.6971 0.0502 0.5825
S10 0.8308 0.6095 0.5822
S11 0.4748 0.6121 0.0824
S12 0.9763 0.6072 0.0821
S13 0.3282 0.0471 0.0818
S14 0.1946 0.3461 0.0822
S15 0.6941 0.3394 0.0821
S16 0.8111 0.6615 0.9214
S17 0.0192 0.3779 0.9185
S18 0.6690 0.9612 0.9189
S19 0.3112 0.9600 0.4204
S20 0.1700 0.3768 0.4190
S21 0.5188 0.6642 0.4161
O1 0.0912 0.0358 0.3092
O2 0.6095 0.0331 0.3055
O3 0.4224 0.8095 0.3115
O4 0.9093 0.7784 0.3036
O5 0.4864 0.1789 0.3123
O6 0.9798 0.1775 0.3043
O7 0.1080 0.1852 0.8067
O8 0.5945 0.1507 0.8111
O9 0.4826 0.7885 0.8060
O10 0.9862 0.7897 0.8130
O11 0.4090 0.0343 0.8055
O12 0.9234 0.0369 0.8123
O13 0.3945 0.9743 0.6954
O14 0.9024 0.9675 0.6938
O15 0.0912 0.2062 0.6964
O16 0.5800 0.1907 0.6925
O17 0.0220 0.8375 0.6948
O18 0.5071 0.8141 0.6962
O19 0.4022 0.8369 0.1934
O20 0.8965 0.8156 0.1938
O21 0.0067 0.1989 0.1950
O22 0.5220 0.2066 0.1941
O23 0.0798 0.9678 0.1918
O24 0.5922 0.9781 0.1951
O25 0.4327 0.3660 0.6411
O26 0.9342 0.3603 0.6370
O27 0.2448 0.1300 0.6381
O28 0.7499 0.1386 0.6370
O29 0.3074 0.4929 0.6430
O30 0.8228 0.5083 0.6368
O31 0.4335 0.5069 0.1369
O32 0.9315 0.5073 0.1372
O33 0.3199 0.1308 0.1367
O34 0.8143 0.1309 0.1423
........
-- The article goes on --
public LogicalScreenDescriptor( Size logicalScreenSize, bool hasGlobalColourTable, int colourResolution, bool globalColourTableIsSorted, int globalColourTableSizeBits, int backgroundColourIndex, int pixelAspectRatio )

- logicalScreenSize (Size)
The entry is interrupted by calculated crystals:
[1]
Sn2P2O7: optimized geometry, PBE.

The structure in extended XYZ format:
```
66
Lattice="4.897 10.876 0.000 -4.897 10.876 0.000 0.000 2.391 9.356" Properties=species:S:1:pos:R:3 pbc="T T T"
Sn 3.055 10.860 0.084
Sn 1.791 7.710 1.536
Sn -1.903 7.540 1.643
Sn -1.885 15.418 3.014
Sn 1.823 15.250 3.152
Sn 3.003 12.061 4.588
Sn -3.055 12.056 4.762
Sn -1.791 8.905 6.214
Sn 1.903 8.736 6.322
Sn 1.885 16.613 7.692
Sn -1.823 16.445 7.830
Sn -3.003 13.257 9.266
P 0.171 16.630 0.259
P -0.154 12.633 1.402
P -0.111 2.607 1.692
P -0.117 20.300 3.023
P -0.183 10.270 3.317
P 0.156 6.271 4.410
P -0.171 17.826 4.937
P 0.154 13.829 6.080
P 0.111 3.803 6.370
P 0.117 21.496 7.701
P 0.183 11.466 7.995
P -0.156 7.466 9.088
O -1.310 12.755 0.387
O 1.179 12.217 0.816
O -0.007 1.279 0.892
O -0.526 3.711 0.559
O -0.045 6.225 0.770
O -1.152 16.760 1.030
O 1.411 16.482 1.167
O -0.751 11.461 2.366
O -0.049 13.929 2.255
O -3.689 13.904 2.314
O 3.582 13.401 2.666
O 3.592 9.513 2.033
O -3.695 9.000 2.405
O -0.112 8.982 2.443
O 1.403 6.431 3.512
O -1.152 6.127 3.616
O -0.075 16.696 3.887
O 1.310 13.950 5.065
O -0.548 19.193 4.148
O -0.020 21.627 3.824
O -1.179 13.412 5.494
O 1.178 10.651 3.883
O 0.007 2.475 5.570
O 0.526 4.907 5.237
O -1.323 10.170 4.343
O 0.045 7.420 5.448
O 1.152 17.955 5.708
O -1.411 17.678 5.845
O 0.751 12.656 7.044
O 0.049 15.124 6.933
O 3.689 15.099 6.992
O -3.582 14.596 7.344
O -3.592 10.709 6.711
O 3.695 10.195 7.083
O 0.112 10.178 7.121
O -1.403 7.626 8.190
O 1.152 7.323 8.294
O 0.075 17.892 8.565
O 0.548 20.389 8.826
O 0.020 22.823 8.502
O -1.178 11.846 8.561
O 1.323 11.365 9.021
```

[2]
Sn2P3O10: optimized geometry, PBE.

The structure in extended XYZ format:
```
30
Lattice="5.278 5.614 0.000 -5.278 5.614 0.000 0.000 5.071 8.840" Properties=species:S:1:pos:R:3 pbc="T T T"
Sn -0.172 12.034 8.014
Sn 0.172 9.498 3.594
Sn -0.172 6.801 5.247
Sn 0.172 4.266 0.827
P 2.539 11.709 7.373
P 4.262 9.418 6.630
P 2.539 7.126 5.888
P -2.539 9.174 2.953
P -4.262 6.882 2.210
P -2.539 4.590 1.467
O -0.195 14.121 7.521
O 3.287 10.251 7.578
O 1.267 11.451 6.502
O 0.195 11.585 3.101
O 1.705 9.286 2.111
O 3.287 8.584 5.682
O -1.705 11.822 6.532
O 2.030 12.120 8.747
O 2.030 6.715 4.514
O -1.267 8.915 2.082
O 1.267 7.384 6.758
O -2.030 9.584 4.326
O -2.030 4.180 0.094
O 1.705 4.478 2.309
O -3.287 7.715 3.158
O -1.705 7.013 6.729
O -0.195 4.715 5.740
O -1.267 4.849 2.338
O -3.287 6.048 1.262
O 0.195 2.179 1.319
```

[3]
Sn2P3O10: optimized geometry, PBE.

The structure in extended XYZ format:
```
30
Lattice="-3.787 6.823 -5.350 -2.029 -3.577 -3.125 -8.400 -1.569 3.944" Properties=species:S:1:pos:R:3 pbc="T T T"
Sn -8.417 2.590 -6.750
Sn -6.850 -0.233 -4.536
Sn -7.366 1.910 0.006
Sn -5.799 -0.913 2.219
P -11.498 1.144 -2.951
P -5.426 -0.771 -1.325
P -8.752 -1.186 0.499
P -5.464 2.864 -5.029
P -8.790 2.448 -3.205
P -2.719 0.533 -1.579
O -12.153 1.543 -4.257
O -11.121 -0.315 -2.801
O -8.732 -2.135 -0.725
O -6.407 -0.393 -2.418
O -5.380 -2.243 -0.967
O -8.510 1.605 -4.478
- The width and height, in pixels, of the logical screen where the images will be rendered in the displaying device.
- hasGlobalColourTable (Boolean)
- Indicates the presence of a Global Color Table; if the flag is set, the Global Color Table will immediately follow the Logical Screen Descriptor. This flag also selects the interpretation of the Background Color Index; if the flag is set, the value of the Background Color Index field should be used as the table index of the background color.
- colourResolution (Int32)
- The number of bits per primary color available to the original image, minus 1. This value represents the size of the entire palette from which the colors in the graphic were selected, not the number of colors actually used in the graphic. For example, if the value in this field is 3, then the palette of the original image had 4 bits per primary color available to create the image. This value should be set to indicate the richness of the original palette, even if not every color from the whole palette is available on the source machine.
- globalColourTableIsSorted (Boolean)
- Indicates whether the Global Color Table is sorted. If the flag is set, the Global Color Table is sorted, in order of decreasing importance. Typically, the order would be decreasing frequency, with most frequent color first. This assists a decoder, with fewer available colors, in choosing the best subset of colors; the decoder may use an initial segment of the table to render the
- globalColourTableSizeBits (Int32)
- The number of bits required to hold the size of the global colour table. To determine the actual size of the color table, raise 2 to [the value of the field + 1]. E.g. if this parameter is 7 then the global colour table will be 2^(7+1) = 256 bytes long. See also GlobalColourTableSize
- backgroundColourIndex (Int32)
- Gets the index into the Global Color Table for the Background Color. The Background Color is the color used for those pixels on the screen that are not covered by an image. If the Global Color Table Flag is set to (zero), this field should be zero and should be ignored.
- pixelAspectRatio (Int32)
- Gets the factor used to compute an approximation of the aspect ratio of the pixel in the original image.